My nest of bitchiness...

Well, here you are. I can't imaging why anyone would, while sifting through my site, come to a box of wrath on purpose. Anyway, I really don't feel like talking to you, so I think I'll just bitch about things that annoy me.

Riemann Sums

# The entry is interrupted by molecular data
____________
The following is a quantum chemistry calculation of C24H24N2O3S in the gas phase, from the OMol25 dataset.

## Properties
* E_HOMO: -7.97 eV
* frontier orbital gap: 0.30720 Ha
* structure (SMILES): COc1ccc(CSCC(=O)N/N=C/c2ccccc2OCc2ccccc2)cc1
* LUMO level: 0.389 eV
* total charge: 0

Each line ends with the Mulliken charge.
Geometry (Å):
C1 -0.34016 -2.91929 -2.08228  -0.670
H1 0.42578 -2.34940 -1.54757  0.112
O1 -1.60443 -2.77653 -1.48534  -0.434
C2 -2.16303 -1.53702 -1.43139  0.599
C3 -3.44604 -1.46828 -0.88753  -0.690
C4 -4.11147 -0.26491 -0.80671  -0.254
C5 -3.51446 0.90592 -1.26340  0.682
C6 -2.23130 0.83553 -1.78877  -0.665
C7 -1.55609 -0.36822 -1.87907  -0.298
H2 -0.56049 -0.37972 -2.29400  0.415
H3 -1.75002 1.74176 -2.13031  0.394
C8 -4.21812 2.22039 -1.17528  -1.372
H4 -4.17298 2.76009 -2.12179  0.493
H5 -5.25736 2.10777 -0.86851  0.384
S1 -3.42910 3.37036 0.02036  -0.132
C9 -4.00429 2.65666 1.59091  -0.696
C10 -3.50597 1.24062 1.84472  0.370
O2 -4.22078 0.38032 2.29460  -0.606
N1 -2.18946 1.08378 1.53630  -0.011
N2 -1.58777 -0.11303 1.59321  -0.445
C11 -0.39331 -0.22037 1.17114  -0.237
C12 0.28020 -1.49874 1.17021  1.033
C13 -0.40812 -2.66318 1.50615  -0.645
C14 0.22031 -3.89115 1.47536  -0.811
C15 1.55273 -3.96769 1.10559  -0.814
C16 2.26056 -2.82483 0.77077  -0.508
C17 1.63886 -1.58199 0.79844  0.376
O3 2.25104 -0.40853 0.48365  -0.252
C18 3.63572 -0.40551 0.20075  -0.775
C19 4.09105 1.02259 0.04975  0.525
C20 3.61824 1.99728 0.91878  -0.375
C21 4.04313 3.30778 0.79621  -0.553
C22 4.95247 3.65420 -0.18887  -0.449
C23 5.43030 2.68578 -1.05485  -0.542
C24 4.99768 1.37612 -0.93965  -0.553
H6 5.36940 0.62387 -1.62097  0.354
H7 6.13868 2.95073 -1.82582  0.385
H8 5.28726 4.67658 -0.28213  0.373
H9 3.66691 4.05998 1.47381  0.387
H10 2.91123 1.72158 1.68660  0.362
H11 3.84190 -0.96843 -0.72056  0.424
H12 4.18916 -0.87797 1.02775  0.456
H13 3.29693 -2.91552 0.48457  0.430
H14 2.05480 -4.92341 1.07375  0.396
H15 -0.32336 -4.78657 1.73283  0.403
H16 -1.44564 -2.56643 1.78105  0.470
H17 0.16155 0.63885 0.77834  0.487
H18 -1.69369 1.87550 1.11230  0.362
H19 -5.09449 2.66366 1.61165  0.393
H20 -3.62957 3.32464 2.36805  0.332
H21 -5.10296 -0.23475 -0.38041  0.323
H22 -3.90138 -2.37730 -0.53054  0.436
H23 -0.35769 -2.61377 -3.13420  0.395
H24 -0.10238 -3.97982 -2.01768  0.234

Forces on atoms 1 to 2 (eV/Å):
C 0.23 -0.03 -0.10
H -0.02 -0.01 -0.01

---

The following is a quantum chemistry calculation of a molecular structure, C24H24N2O6ReS4, from the OMol25 dataset.

## Properties
* E_HOMO (spin up / spin down): -8.25 / -7.98 eV
* frontier orbital gap (spin up / spin down): 0.22373 / 0.22683 Ha
* LUMO level (spin up / spin down): -2.158 / -1.811 eV
* total charge: 0
* spin multiplicity: 2

Each line ends with the Mulliken charge.
Geometry (Å):
Re1 -1.63585 0.15241 1.18094  0.642
C1 -0.81245 5.51721 2.18874  -1.489
C2 -1.00695 4.13711 2.72304  1.005
C3 0.05305 3.23611 2.73204  -0.703
C4 -0.14245 1.92541 3.12634  -0.026
____________

Oooooh... if you've ever taken any math past trig, you know what these things are. You might also have a teacher like mine who likes to express absolutely everything as a Riemann sum. "Okay, class, what's six times eight? 48? How can we write that as a Riemann sum?" It absolutely grates on my nerves... integrals make fifty thousand times more sense than these, but of course you can't do that if it's a series. (Or can you? I haven't been understanding math too well lately...) I'd absolutely love to get through a week without hearing these stupid things mentioned...

The Backstreet Boys

Let me explain something. When I refer to "The Backstreet Boys," I may be referring to them or any of the other groups that are exactly like them such as N'Sync, Five, etc. The ones that have a whole bunch of 20ish boys (and they are boys, not men) who sing melodramatic, choreographed, meaningless bullshit that makes thirteen year old girls instantly fall in love with them. They're like miniature fraternities. "Yeah, I'm in the Backstreet Boys' fraternity. My frat brothers and I, we like to take our shirts off and dance around together on stage because it makes us feel so cool..." And to any and all fans of theirs---yes, when they sing their songs and talk about how much they love you, they're talking to you personally. They know all about you and read all of your letters and they only go on tour as an excuse to come and see you. Fine, go on believing that all of your life. Yeah, all that'll happen when Bill Clinton gets a blowjob from me personally, and I'm not planning an internship at the White House.


"Uh, hi, I'm 14 and I'm a virgin and I think I have a sexually transmitted disease." "I'm 17 and I'm pregnant for the fifth time and I don't know who the father is." "Oh, Adam, you are so great, can you please ask me who sexually abused me when I was a child?" If you've ever listened to the radio program "Loveline" (which has also been aired on Mtv for the past couple years, but it was on the radio for much longer), then you've heard all of these things entirely too many times. If I hear that asshole say "Get an abortion." or "Turn Drew's mike off." one more time, I'll bite him...

Overenthusiastic Homosexuals

Before I get bitten myself, by that I don't mean that I hate gays. I'm sick and tired of being told that I'm homophobic, because I'm not. What I hate is when someone tells you, out of the middle of nowhere and for no apparent reason, that he/she is gay and expects you to care. Especially when you don't know that person. It's like "Hi! My name's Jack. I'm 24 and I found your website because I was bored. Oh, and I'm gay." I'm exaggerating, but I do get emails remotely like that. And then they get all offended when you write back and say "I don't give a royal fuck that you're gay. Leave me alone." as if you're offended that they ARE gay, rather than because they tell you that they're gay. Let me emphasize that I'm not complaining about people you know, like your friends and stuff, who are being open about their sexuality or whatever. That's fine and dandy. I just don't see the need to discuss it at every possible moment. Straight people don't say "Hi, I'm Robert, I'm a computer programmer, and by the way, I'm straight." and expect you to be all kind and pleasant about it. Why should I behave differently if someone's gay?

Waitressing Pet Peeves

Having spent the summer of 1999 waiting tables, I've developed a huge respect for all of the hardworking servers out there. There are a few big things that have really pissed me off, though, and here are some pieces of advice for those of you who are planning on dining out. Please be nice to your server -- he/she does a hell of a lot more than you think, and also is paid a lot less than you think. Here are some of the major points.

More complaints coming soon.
